From the Acting Principal

I hope everyone found some time to relax with a four-day weekend for our STM students. While students had the chance to refresh and reset for the busy last few weeks of school, staff took the time to gather, reflect, learn, and plan for the 2025 school year. On Monday, all STM staff came together for more professional learning about evidence-based practices and spent time working within their 2025 teams to plan and prepare work units for next year.
On Tuesday, staff ventured into the city to visit the Mary MacKillop Heritage Centre and Mary Glowrey Museum. We spent the day learning about these two remarkable women of faith who dedicated their lives to serving God and their communities by bringing love, hope, faith and charity to those in need. Sr Mary MacKillop is Australia's only saint, and Dr Sr Mary Glowrey is only the second Australian ever considered for sainthood. Thank you to Mrs Marcia Janky, our Religious Education Leader, for organising this day.
Last week, we received a beautiful addition to our stairwell: a ceramic mobile. One of our talented parents, Penny Duke (Mum of Miles in Year 6), is a ceramicist. She worked with each class throughout Term 3 to create this stunning piece. We especially thank Penny for sharing her talents and skills with our students. Thank you also to our creative students who worked on this wonderful piece, and yes, we thank you, Mrs A, for organising this project.
4/5/6 visit to Mater Christi
On Wednesday 13th November, the 4/5/6 students were invited to visit Mater Christi to view the Art Show. We were treated to a brilliant display of exceptional art pieces and were then able to make some of our own art using materials the Mater Christi students had made especially for us. What a treat!
A big thank you to Mel Muller who organised this excursion and the staff and students of Mater Christi College who helped out. They went above and beyond and we loved every minute! Thank you so much.
Several special events are taking place over the next couple of weeks. Please have a look below for upcoming events, as keeping track of everything at this time of the year can be challenging!
St Vincent de Paul Fundraiser:
This event has been the talk of the town and finally takes place tomorrow. Students can participate in various water-based play and activities to help raise much-needed food for those in need. Thank you to our enthusiastic Social Justice Leaders, Archie, Fraser, and Olivia, for organising this event and to our families who have generously donated items and brought hope to others at this time of year.
Meet your Teacher Day:
Students will have the chance to meet their 2025 teacher/s from 10:00 a.m. on Monday, December 9th. Classroom teachers have organised getting-to-know-you games and activities to support students as they meet their teacher/s and new classmates. After recess, students will return to their current classrooms.
End of Year Mass:
We will gather to celebrate a wonderful year of learning and growing at our End of Year Mass on Tuesday 10th December. Please come and celebrate with us in our Parish Church from 1:30 p.m.
Christmas Carols:
Our annual Christmas Carols will be held straight after our Mass from 2:30 pm.
Passing on Ceremony:
The Passing On Ceremony is a very important tradition at our school. It is where our current 2024 school leaders "Pass On" the responsibility of school leadership to our 2025 school leaders. Families of our Year 5 students are encouraged to join the school staff and students on Wednesday, December 11th, at 2:00 p.m. in the Parish Church.
2025 Student Leadership roles will also be announced at this ceremony.
Graduation Day:
Our Year 6 students will complete the final day of their primary school journey on Thursday 12th December. We look forward to celebrating and thanking them as they graduate from STM. Graduation Mass will be held in our Parish Church from 6:00 p.m. STM community members are welcome to attend.
Someone pasted records of crystals at this point >
~~~
TbY9Tm4: relaxed, GGA-PBE.

Lattice parameters (Å, degrees): 11.252 9.676 9.676 120.00 90.00 90.00
Element x y z (fractional)
Tb: 0.250 0.667 0.333
Tb: 0.750 0.333 0.667
Y: 0.026 0.791 0.582
Y: 0.026 0.791 0.209
Y: 0.026 0.418 0.209
Y: 0.974 0.209 0.418
Y: 0.974 0.209 0.791
Y: 0.974 0.582 0.791
Y: 0.526 0.209 0.418
Y: 0.526 0.209 0.791
Y: 0.526 0.582 0.791
Y: 0.474 0.791 0.582
Y: 0.474 0.791 0.209
Y: 0.474 0.418 0.209
Y: 0.250 0.459 0.919
Y: 0.250 0.459 0.541
Y: 0.250 0.081 0.541
Y: 0.750 0.541 0.081
Y: 0.750 0.541 0.459
Y: 0.750 0.919 0.459
Tm: 0.250 0.110 0.220
Tm: 0.250 0.110 0.890
Tm: 0.250 0.780 0.890
Tm: 0.750 0.890 0.780
Tm: 0.750 0.890 0.110
Tm: 0.750 0.220 0.110
Tm: 0.000 0.000 0.000
Tm: 0.500 0.000 0.000

Crystal system: hexagonal
Total DFT energy (no corrections) in eV/atom: -5.5989
Magnetic moment in μB per formula unit: 0.00
~~~
Last Day of School:
Tuesday 17th December, is the last day of school for all Prep - Year 5 students. The teachers will be ready to play 'Tag, you're it!' with parents at 3:10 p.m.
Return to school in 2025:
The students will return to school on Wednesday 29th of January, 2025. There will be no specialist subjects taught in the first week.
Fees and Levies for 2025:
Please keep an eye out for information regarding 2025 school fees and levies. The eldest child of each family has been sent home with this information.
Thank you and God Bless
Danielle George
Acting Principal
Wominjeka Welcome!
At St Thomas More we acknowledge the Wurrundjeri people of the Kulin nation who are the traditional carers of this land where we grow and learn,
We touch the ground to remember the elders of Wurundjeri people who walked these lands before us and also those who care for it now,
We wriggle our fingers to remember that everything in nature, from the roots of the trees to the tips of the leaves, is very important to all of us.
We touch our hearts to show that I love this land and want to help look after it.
We hold up our hand to remember that we need to work together so our land will continue to flourish for generations to come.